(Combating New Crown Pneumonia) Concealing Trip, 55 People, including Medical Staff, Isolate Shanghai

China News Online, March 16 (Reporter Li Zhengzheng) The first case of the prevention and control of infectious diseases in Shanghai opened on the 16th in Shanghai Jinshan District People's Court (hereinafter referred to as Jinshan Court). The court held that during the New Coronary Pneumonia epidemic, the defendant Li Mouping concealed Wuhan's travel history, took public transport multiple times, and entered and exited public places, resulting in 55 close contacts, including 11 from the Jinshan Branch of the Sixth People's Hospital of Shanghai. Paramedics are isolated. The court sentenced Li Mouping to imprisonment for 1 year and 3 months and suspended sentence to 1 year and 6 months for the crime of obstructing the prevention of infectious diseases.

Inserted here: quantum chemistry results =
'''
1.
A molecular structure, C24H22IN7O4S3W. Source: the Open Molecules 2025 dataset; level of theory: the ωB97M-V functional and the def2-TZVPD basis.

## Properties
Multiplicity: 3
<S²>: 2.01
Total charge: +2
Energy above the lowest of the compared OMol25 structures with the same formula, charge and spin (kJ/mol): 0.0

Last column: Mulliken spin population.
Cartesian coordinates (Å):
1 W 0.112 0.309 -0.696  1.8130
2 C -6.045 0.305 4.753  -0.0001
3 C -5.167 0.215 3.542  -0.0006
4 C -5.702 0.425 2.269  0.0002
5 C -4.908 0.354 1.142  -0.0013
6 C -3.554 0.065 1.300  -0.0017
7 C -2.989 -0.153 2.556  0.0011
8 C -3.806 -0.078 3.666  -0.0006
9 S -2.578 -0.004 -0.117  0.0350
10 O -3.321 -0.357 -1.274  0.0001
11 O -1.378 -0.892 0.205  0.0169
12 N -1.749 1.387 -0.395  -0.0210
13 C -1.256 2.043 0.769  0.0139
14 C -1.890 3.009 1.520  -0.0124
15 C -1.187 3.531 2.597  0.0182
16 C 0.104 3.090 2.875  -0.0096
17 C 0.680 2.133 2.064  0.0049
18 N -0.007 1.621 1.035  0.0023
19 H -7.007 -0.173 4.574  0.0000
20 H -6.242 1.352 4.995  0.0000
21 H -5.581 -0.159 5.621  0.0000
22 H -6.759 0.632 2.162  0.0000
23 H -5.323 0.497 0.152  0.0001
24 H -1.942 -0.406 2.656  0.0004
25 H -3.390 -0.263 4.648  0.0000
26 H -2.890 3.331 1.270  0.0004
27 H -1.644 4.289 3.219  0.0007
28 H 0.660 3.492 3.709  0.0000
29 H 1.683 1.757 2.215  0.0041
30 N 6.650 -4.363 -1.810  -0.0014
31 C 5.759 -3.433 -1.431  -0.0014
32 C 4.483 -3.375 -2.042  0.0011
33 C 3.573 -2.432 -1.657  -0.0091
34 C 3.914 -1.514 -0.650  0.0012
35 C 5.172 -1.552 -0.034  0.0004
36 C 6.080 -2.500 -0.421  -0.0004
37 S 2.787 -0.353 -0.152  0.0288
38 O 1.473 -1.040 0.208  0.0120
39 O 3.310 0.533 0.839  0.0062
40 N 2.136 0.406 -1.446  0.0131
41 C 2.045 1.754 -1.695  0.0110
42 S 3.118 3.034 -1.985  0.0061
43 C 1.760 4.097 -2.139  0.0029
44 C 0.590 3.441 -1.986  0.0087
45 N 0.764 2.099 -1.727  -0.0163
46 H 6.430 -5.037 -2.522  0.0001
47 H 7.556 -4.421 -1.381  0.0001
48 H 4.232 -4.086 -2.818  0.0001
49 H 2.599 -2.392 -2.129  0.0039
50 H 5.417 -0.840 0.741  -0.0002
51 H 7.053 -2.539 0.050  0.0000
52 H 1.910 5.142 -2.354  0.0004
53 H -0.401 3.862 -2.045  -0.0002
54 I -1.090 -4.546 -4.443  0.0007
55 C -0.728 -2.633 -3.783  -0.0027
56 C -0.723 -1.472 -4.531  0.0272
57 N -0.445 -0.461 -3.697  0.0076
58 N -0.263 -0.903 -2.438  0.0020
59 C -0.433 -2.227 -2.483  0.0189
60 H -0.905 -1.305 -5.580  0.0018
61 H -0.395 0.523 -3.907  0.0020
62 H -0.353 -2.817 -1.584  0.0114


2.
A molecular structure, C29H24Br2N4O5S4Tm in a non-equilibrium geometry. Source: the Open Molecules 2025 dataset; level of theory: the ωB97M-V functional and the def2-TZVPD basis.

## Properties
Multiplicity: 4
<S²>: 3.77
Total charge: -2
Energy above the lowest of the compared OMol25 structures with the same formula, charge and spin (kJ/mol): 38.1

Last column: Mulliken spin population.
Cartesian coordinates (Å):
1 Tm 0.826 0.334 0.673  2.0165
2 C 2.846 -1.831 -1.536  -0.0410
3 C 2.695 -2.483 -0.193  0.1610
4 C 3.257 -3.708 0.050  -0.0387
5 C 3.068 -4.377 1.277  0.5480
'''

The People's Procuratorate of Jinshan District of Shanghai charged that the defendant, Li Mouping, had lived in Wuhan for three days on January 23, 2020, and returned to Shanghai after knowing that the city would be closed. After returning to Shanghai, Li Mouping was worried that he was infected with a new coronavirus, and in order to prevent the infection of his family, he lived alone in a hotel in Songjiang District.

However, during this period, Li Pingping knew that he was a returnee from a key area and still took public transportation many times to enter and exit public places such as supermarkets and convenience stores. After coughing and other symptoms, Li Mouping took a bus to the Jinshan Branch of the Sixth People's Hospital of Shanghai. He not only concealed Wuhan travel history, but also contacted many people in the infusion room.

Molecular data, kept here for reference >
********
{
  "formula": "C3H4N4O",
  "method": "ωB97M-V with the def2-TZVPD basis set",
  "lumo_ev": [-0.7, -0.7],
  "smiles": "[H]/N=N/C=C(/N)C#[N+][O-]",
  "largest_force_ev_per_a": 5.8,
  "gap_ev": [7.637, 7.637],
  "molar_mass_g_mol": 112.1,
  "relative_energy_ev": 6.297,
  "elements": ["H", "N", "N", "C", "C", "N", "C", "N", "O", "H", "H", "H"],
  "positions_angstrom": [[0.250, 3.519, -0.081], [0.410, 2.434, 0.067], [-0.787, 1.878, -0.171], [-1.095, 0.619, -0.035], [-0.299, -0.565, 0.065], [-0.924, -1.731, -0.068], [1.115, -0.746, 0.037], [2.255, -0.639, 0.074], [3.405, -0.740, 0.078], [-2.106, 0.255, -0.135], [-1.967, -1.806, -0.047], [-0.256, -2.479, 0.217]]
}

=====

(1)
# C17H29Cl2N8O2STc

A molecular structure, C17H29Cl2N8O2STc (ωB97M-V/def2-TZVPD, the OMol25 dataset).

- Expectation value of S²: 3.80
- Molecular weight: 578.4 g mol⁻¹
- HOMO-LUMO gap (alpha / beta): 9.450 / 6.139 eV
- LUMO energy (alpha / beta): -7.902 / -11.154 eV
- Energy relative to the best compared isomer or geometry (same formula, charge and spin): 0.0 kJ/mol

Geometry as ORCA input:
```
! wB97M-V def2-TZVPD RIJCOSX def2/J DEFGRID3
* xyz 3 4
Tc 0.045 0.485 0.238
N -1.777 -0.276 -0.688
C -1.979 0.405 -2.003
C -0.626 0.706 -2.626
N 0.217 1.494 -1.672
C 1.651 1.462 -2.083
C 2.526 1.857 -0.915
N 2.159 0.982 0.238
C -0.286 2.909 -1.564
C -0.302 3.411 -0.128
N -0.864 2.351 0.742
H -1.635 -1.271 -0.845
H -2.634 -0.219 -0.141
H -2.550 1.314 -1.818
H -2.575 -0.212 -2.675
H -0.744 1.246 -3.569
H -0.092 -0.220 -2.846
H 1.816 2.116 -2.942
H 1.881 0.444 -2.397
H 2.384 2.894 -0.621
H 3.578 1.736 -1.171
H 2.509 1.357 1.121
H 2.653 0.095 0.129
H -1.296 2.941 -1.968
H 0.322 3.557 -2.198
H -0.888 4.328 -0.058
H 0.694 3.638 0.246
H -1.878 2.331 0.654
H -0.656 2.552 1.724
N -0.103 -1.212 8.837
C 0.090 -0.826 7.589
C 1.335 -1.096 6.938
C 1.532 -0.666 5.657
C 0.511 0.037 5.002
C -0.717 0.306 5.613
C -0.943 -0.121 6.892
S 0.857 0.743 3.400
O 2.282 0.692 3.216
O 0.195 2.020 3.367
N 0.128 -0.160 2.260
C 0.597 -1.425 1.995
N 0.592 -1.593 0.662
C 0.906 -2.817 0.204
C 1.263 -3.820 1.081
C 1.294 -3.508 2.437
N 0.946 -2.305 2.905
H 0.615 -1.700 9.361
H -0.970 -1.023 9.327
H 2.112 -1.624 7.477
H 2.473 -0.835 5.151
H -1.471 0.876 5.086
H -1.879 0.084 7.396
H 0.887 -2.967 -0.867
H 1.523 -4.805 0.726
H 1.600 -4.243 3.171
Cl 2.316 -2.003 -2.675
C 2.531 -1.856 -4.456
Cl 2.045 -0.259 -5.014
H 1.904 -2.611 -4.912
H 3.583 -2.016 -4.656
*
```

(2)
# C5H9N2

2 unconnected molecules or ions with the total composition C5H9N2 (ωB97M-V/def2-TZVPD, the OMol25 dataset).

- Molecular weight: 97.1 g mol⁻¹
- HOMO-LUMO gap: 11.507 eV
- LUMO energy: -3.885 eV
- Energy relative to the best compared isomer or geometry (same formula, charge and spin): 369.5 kJ/mol

Geometry as ORCA input:
```
! wB97M-V def2-TZVPD RIJCOSX def2/J DEFGRID3
* xyz 1 1
C 0.566 -0.235 -0.295
C -3.483 0.162 -0.075
C -4.830 -0.280 0.201
C 3.647 0.866 0.053
C 3.030 -0.515 0.060
N -2.386 0.400 -0.324
N 1.667 -0.450 -0.022
H -0.503 -0.233 -0.558
********

On January 30, after Li Pingping signed the letter of commitment on home isolation, he went out without a report on January 31 and went to a pharmacy to buy medicine. On February 2nd, Li Mouping went to the hospital again for medical treatment. Only after being questioned by the medical staff several times did he acknowledge the history of Wuhan travel. On February 4th, Li Mouping was diagnosed with new coronary pneumonia, and 55 people in close contact with him were isolated.

The entry is interrupted by calculated molecules =
'''
(1)
The following is a DFT calculation (ωB97M-V/def2-TZVPD) of a 2-piece molecular cluster, C5H11O2 overall at a distorted geometry.

Structure (XYZ):
```
18
Properties=species:S:1:pos:R:3:mulliken_charge:R:1
C -0.5553 -1.7847 -1.5516 -0.710
C -1.7295 -1.4994 -2.5126 0.557
O -2.7038 -0.8847 -2.0272 -0.732
O -1.6040 -1.9461 -3.6782 -0.752
H 0.4195 -1.4168 -1.8702 0.194
H -0.4741 -2.8753 -1.5066 0.309
H -0.8434 -1.4210 -0.5702 0.158
C 0.7436 0.4272 1.2426 -0.182
C -0.2068 1.1764 0.3013 -1.021
C 1.5534 1.4627 2.0600 -1.228
H 1.4198 -0.2902 0.7854 0.362
H 0.1640 -0.0915 2.0110 0.210
H -0.8870 1.6760 0.9978 0.285
H 0.3429 1.8560 -0.3462 0.266
H 2.2599 0.9004 2.6818 0.340
H 0.9541 1.9412 2.8341 0.319
H -0.8642 0.5522 -0.2756 0.282
H 2.0107 2.2177 1.4245 0.343
```

## Properties
frontier orbital gap: 7.1 eV
HOMO: -0.138 Ha
calculated total energy: -347.6342 Eh
maximum force: 0.024 Eh/bohr
charge: -1


(2)
The following is a DFT calculation (ωB97M-V/def2-TZVPD) of one molecule with the formula C3H2N2OS at a distorted geometry.

Structure (XYZ):
```
9
Properties=species:S:1:pos:R:3:mulliken_charge:R:1
C 0.7499 -1.6701 0.0035 0.277
C -3.3999 -1.1356 -0.0180 0.471
C 0.2182 -0.2994 -0.0202 -0.195
N -2.1911 -1.2847 0.0619 -0.133
N -0.7431 -1.3770 -0.1134 -0.075
O -4.5493 -1.0172 0.0078 -0.433
S 1.6935 -2.9197 0.0123 -0.324
H 0.2686 0.2813 0.9053 0.211
H 0.3800 0.3267 -0.8995 0.202
```

## Properties
SMILES: O=C=NN1CC1=S
frontier orbital gap: 8.6 eV
HOMO: -0.331 Ha
calculated total energy: -698.2773 Eh
maximum force: 0.111 Eh/bohr


(3)
The following is a DFT calculation (ωB97M-V/def2-TZVPD) of a 2-piece molecular cluster, C3HIN2O overall at a distorted geometry.

Structure (XYZ):
```
8
Properties=species:S:1:pos:R:3:mulliken_charge:R:1
C 1.0992 -1.3876 0.4364 0.198
C 0.6611 -0.0822 0.2990 0.505
C -1.2382 -0.0074 -0.5933 0.205
N 1.4301 -2.4832 0.5282 -0.311
N 1.1368 1.0091 0.5698 -0.495
O -1.8063 -0.9243 -1.0340 -0.324
I -1.8932 2.0132 -0.5747 0.030
H 0.6105 1.8626 0.3686 0.193
```

## Properties
frontier orbital gap: 8.6 eV
HOMO: -0.347 Ha
calculated total energy: -597.2716 Eh
maximum force: 0.085 Eh/bohr


(4)
The following is a DFT calculation (ωB97M-V/def2-TZVPD) of a 4-piece molecular cluster, C27H59NO16S overall.

Structure (XYZ):
```
104
Properties=species:S:1:pos:R:3:mulliken_charge:R:1
C -1.4056 3.8331 3.3213 -0.774
C -0.7822 2.8773 4.3363 -0.671
C -1.4073 1.4923 4.5972 -0.975
C -1.6449 0.5088 3.4389 0.968
O -1.0042 -0.7005 3.7506 -0.554
O -1.0976 0.9924 2.2189 -0.345
S -1.5636 0.0654 0.9939 0.800
O -1.8352 0.9367 -0.0983 -0.450
O -0.6440 -1.0074 0.8270 -0.396
O -2.8831 -0.4411 1.6548 -0.337
C -3.1174 0.0475 3.0544 0.039
O -3.3727 -1.0531 3.8234 -0.303
N -4.7867 -1.5728 3.8130 0.267
O -4.8575 -2.4893 3.1324 -0.288
C -4.3341 1.0058 2.9349 1.046
C -4.2088 1.9828 1.7529 -1.591
C -4.7383 1.7894 4.1972 -0.737
C -5.0900 1.0018 5.4569 -1.532
H -0.8942 4.7966 3.3730 0.436
H -1.3041 3.4792 2.2984 0.004
H -2.4606 4.0233 3.5255 0.187
'''

Prosecutors believe that Li Mouping violated Shanghai's relevant epidemic prevention measures, did not take the initiative to quarantine and report itinerary. He also went out several times after signing the commitment letter, and concealed Hubei travel history many times during the consultation. "For his own convenience, Li Mouping disregarded public safety and brought huge hidden dangers to social epidemic prevention. His behavior has violated the provisions of the Epidemic Prevention Law and is suspected of obstructing the prevention and control of infectious diseases. Even if the situation of prevention and control has improved, he cannot Such prosecutions are tolerated. "The prosecutor also pointed out that Li Mouping truthfully explained the circumstances of the crime after he arrived at the case and signed a confession and confession statement, which can be lightly punished according to law. Probation applies.

After trial, the Jinshan Court pronounced in court that the defendant, Li, had been sentenced to imprisonment of 1 year and 3 months and suspended sentence of 1 year and 6 months for the crime of preventing the prevention of infectious diseases. (Finish)